January 14, 2019

Misplaced crystal structures:
<<<
[1]
Structure and calculated powder diffractogram of Cd4BiPd7 (the PBE geometry in Alexandria; Cu Kα, 1.54184 Å).
Lines closer than 0.1° are merged.

Cell and atoms:
Lattice parameters (Å, degrees): 10.711 5.026 9.931 90.00 119.50 90.00
Space group C2/m (No. 12)
Asymmetric unit:
Cd: 0.090 0.000 0.269 x4
Cd: 0.235 0.500 0.163 x4
Bi: 0.000 0.500 0.500 x2
Pd: 0.000 0.000 0.500 x2
Pd: 0.062 0.500 0.834 x4
Pd: 0.141 0.000 0.022 x4
Pd: 0.212 0.500 0.424 x4

Peak list (10 most intense, 10° ≤ 2θ ≤ 80°, by angle)
- 2.886 Å, I = 29, hkl 0 0 3
- 2.594 Å, I = 17, hkl 4 0 -1
- 2.514 Å, I = 100, hkl 0 2 0
- 2.481 Å, I = 13, hkl 2 0 -4
- 2.275 Å, I = 36, hkl 3 1 1
- 2.191 Å, I = 25, hkl 1 1 3
- 2.179 Å, I = 18, hkl 3 1 -4
- 2.150 Å, I = 23, hkl 1 1 -4
- 1.778 Å, I = 28, hkl 4 2 -3
- 1.765 Å, I = 13, hkl 2 2 -4

=====

[2]
Structure and calculated powder diffractogram of Ba4Ir (the PBE geometry in Alexandria; Cu Kα, 1.54184 Å).
Lines closer than 0.1° are merged.

Cell and atoms:
Lattice parameters (Å, degrees): 14.860 15.377 9.155 90.00 90.00 90.00
Space group Fdd2 (No. 43)
Asymmetric unit:
Ba: 0.114 0.414 0.000 x16
Ba: 0.115 0.408 0.523 x16
Ir: 0.000 0.000 0.275 x8

Peak list (10 most intense, 10° ≤ 2θ ≤ 80°, by angle)
- 6.952 Å, I = 56, hkl 1 1 1
- 5.343 Å, I = 31, hkl 2 2 0
- 3.476 Å, I = 100, hkl 2 2 2
- 3.414 Å, I = 38, hkl 2 4 0
- 2.701 Å, I = 40, hkl 4 2 2
- 2.671 Å, I = 29, hkl 4 4 0
- 2.289 Å, I = 18, hkl 0 0 4
- 2.236 Å, I = 34, hkl 0 6 2
- 2.096 Å, I = 21, hkl 6 2 2
- 1.859 Å, I = 18, hkl 8 0 0

=====

[3]
Structure and calculated powder diffractogram of YZn12Ni7 (the PBE geometry in Alexandria; Cu Kα, 1.54184 Å).
Lines closer than 0.1° are merged.

Cell and atoms:
Lattice parameters (Å, degrees): 8.733 8.733 8.733 90.00 90.00 90.00
Space group Im-3 (No. 204)
Asymmetric unit:
Y: 0.000 0.000 0.000 x2
Zn: 0.000 0.239 0.345 x24
Ni: 0.000 0.000 0.500 x6
Ni: 0.250 0.250 0.250 x8

Peak list (10 most intense, 10° ≤ 2θ ≤ 80°, by angle)
- 6.175 Å, I = 38, hkl 1 1 0
- 3.565 Å, I = 36, hkl 2 1 1
- 3.088 Å, I = 32, hkl 2 2 0
- 2.762 Å, I = 54, hkl 3 1 0
- 2.521 Å, I = 20, hkl 2 2 2
- 2.334 Å, I = 42, hkl 3 2 1
- 2.183 Å, I = 68, hkl 4 0 0
- 1.953 Å, I = 58, hkl 4 2 0
- 1.862 Å, I = 17, hkl 3 3 2
- 1.783 Å, I = 100, hkl 4 2 2

----------

This entry pairs a crystal structure of Dy2ReOs3 with its theoretical XRD peak list. Radiation: Cu Kα (weighted mean of Kα1 and Kα2). Structure: a cell relaxed with GGA-PBE.
Lines closer than 0.1° are merged.

Atomic structure:
a b c (Å): 5.4469 5.4469 8.5168
angles (deg): 90.00 90.00 120.00
Atoms (fractional coordinates):
Dy 0.3333 0.6667 0.0656
Dy 0.3333 0.6667 0.4344
Dy 0.6667 0.3333 0.5656
Dy 0.6667 0.3333 0.9344
Re 0.0000 0.0000 0.0000
Re 0.0000 0.0000 0.5000
Os 0.1729 0.3458 0.7500
Os 0.1729 0.8271 0.7500
Os 0.3458 0.1729 0.2500
Os 0.6542 0.8271 0.7500
Os 0.8271 0.1729 0.2500
Os 0.8271 0.6542 0.2500

Largest 6 diffraction maxima, low angle first, 5 to 70 degrees two-theta:
>>>
The crystal structures stop here:

Statement from Josh Gorges:

I would like to take this time to announce my retirement from the game of hockey. I have taken my time and thought long and hard about this decision, but it is a decision that is best for me and my family at this time.

There are a lot of people I would like to thank that have helped me along the way and helped me get to where I am today.

First and foremost is my family. I want to thank my mom and dad for the massive sacrifice they made to make sure I always had everything I needed to play hockey, and to get me to all my practices and games growing up. I do not remember a practice or a game growing up that my dad was not at, so thank you! My mom, my sisters Steph, and Megan, as well as my brother Jonah, thanks for the support and always being there to help mould me into the man I am today!

There were a lot of coaches I had growing up, too many to name and I don’t want to forget any of them, but thank you so much to all of you that helped me!

To Shane Pizzey, my strength coach, thank you for all the years of pushing me to my limits. You helped me get to the highest level, and even with all the battle wounds and surgeries you constantly evolved to know what was best for me and my body. Thank you for always being there over the years.

To the , the Hamilton family, and Lorne Frey, thank you for taking a chance on a skinny little 16-year-old kid, and making his dreams of being able to play in his hometown come true! In four years I grew from a young kid who knew nothing to a young man ready to take on the world! To end my career in junior by winning a championship in my home town will forever be one of the greatest highlights of my life!

To the , I would like to thank you for once again taking a chance on an undrafted kid and making his lifelong dream of playing in the NHL come true! I grew up a Chicago Blackhawks fan, and to be able to play my first career game in Chicago was a thrill I cannot put into words. Not many organizations would give a kid a chance like you guys did with me, so for that I thank you! Thank you for making my dreams come true to play in the .

To the , I want to thank you for being a classy organization that treated me and my family with respect! I am honored to have been a part of your organization and it is great to see you guys taking steps forward.

Lastly to the , I want to thank you for making eight years of my life arguably the greatest eight years of my hockey career! There were ups and downs, highs and lows, but I will always be grateful for my time as a Canadien! From my first game to my last I gave everything I had to help win a Stanley Cup. Even though we came close a couple of times, it will always be disappointing to me to not win a Cup as a member of the Montreal Canadiens because January 14, 2019

I still believe there would be no greater honor! Montreal is and will always be my second home!

I want to thank my agents Kevin Epp, and Jarrett Bousquet. You guys have stood by my side from the very beginning and always had my best interest in mind. Our relationship has grown over the years and I am thankful I had you guys represent me. I think of you guys as friends and not business partners, which is rare in our business, so thank you!

Lastly I want to thank my wife Maggie, and my two boys Noah and JJ! You guys mean everything to me, and through the darkest and hardest times you were always there to make me smile and help me remember it is just a game! I love you all so much and I am excited for the next chapter in my life being a husband and a father. Being able to watch you guys put on skates and play hockey with your mini sticks in the house gives me as much joy as playing the game myself.

I am very fortunate and grateful to have been able to play the incredible game of hockey at the highest level for as long as I did! The friendships I have made along the way because of hockey are the ones that will last forever. I still believe hockey is the greatest game on earth, and it has taught me how to be a man, how to be a teammate, how to push myself to places I never thought possible. It has set me up to be successful in my life after hockey, and for that I will forever be grateful!

Thank you all!

Josh Gorges